
Courtesy of Allison Cooper

Actually, We Have Sex When The Baby's In The Room

by Allison Cooper

If you’re one of those couple’s who follow the book, The Five Love Languages, then you know how important “physical touch” can be to some. In our relationship, this is one has my husband’s name written all over it and what keeps his love tank full. I know, I know, the book is all about connecting on an emotional level and can kinda sound like a bad quiz you would take in a magazine, but knowing where each of us stands has kept us in tune with one another and never sexually deprived. Knowing this, I was kinda nervous about that “no sex for six weeks” rule after giving birth, and I had no clue how my husband was going to get by. In fact, it’s all a blur how we even managed after our first pregnancy, but it probably had something to do with him only having so many paternity leave days while he was active duty Army.

This time around things were different, and our little one would be sharing a bedroom with us in our tiny New York City apartment. She was there. We were there. We were all new roommates and bonding as we navigated our new nightlife routine. To put it plainly, that meant figuring out how to have sex with a baby in the room. Those six weeks were rough. The first three were so painful and I complained so much about it that my husband didn’t want to be near me. Then the last three weeks I had to swat him off of me countless times.

Courtesy of Allison Cooper

As soon as I got the go ahead from my midwife that all was good downstairs and my vagina became fair game again, my husband was ready to rock and roll. Honestly, we didn’t even think twice about having the baby in the bedroom with us while we were getting it on, leading to me being totally pro having sex with the baby in the room. Gasp.

But you know what? Doing so doesn’t make me a bad mom.

An article on the subject was recently published on TODAY, where Dr. Michele Borba, author of The Big Book of Parenting Solutions, says,

If the child's younger than six months old, you probably don't need to worry. It's unlikely there would be problems, only happy, contented parents.

Mind blown, right?

So many people tend to hold very big opinions on this subject with little evidence to backup their claims. An article in the Huffington Post outlines a time when this subject came up on a TV show, to which people in the audience heckled that it’s “abuse” and “disgusting" to have sex with baby in the room. There is no way that it deserves that type of reaction. When your little one is fast asleep in their crib, they have no idea what mommy and daddy are doing in the bed. It’s not harming your child or scarring them for life, as they are absolutely unaware that anything is even happening.

If we didn’t make our intimacy a priority it would send a completely wrong message. Instead of feeling everyday like I deserve to have pleasure in my life, it would say that I don’t and that I need to be on mom duty at all times. I’m a person, too, after all — I deserve the big O just as much as the next woman.

While some things changed, like needing to be quieter and make sure that we weren't moving the bed all around, because if baby wakes up - game over — it’s still our special, intimate time we need to make sure that our marriage is in check, to show each other we care, and hello, to have an orgasm. And honestly, we are happier people because of it.

**The article is interrupted by records of crystals:**
Arrangement 1

Li7Fe4P6O24 | PBE with a Hubbard U | relaxed

Summary:
Crystal system ... monoclinic
M_tot ... 19.00 μB per formula unit

Lattice parameters (Å, degrees): 9.8025 9.8025 9.7440 91.88 91.88 88.09
Last column: nearest neighbours and their distance in Å.
Element x y z (fractional)
Li: 0.0247 0.9753 0.5000  3 O 1.95-2.18
Li: 0.1412 0.5466 0.1824  3 O 1.93-2.01
Li: 0.1873 0.6953 0.4570  6 O 2.35-2.41
Li: 0.2249 0.8477 0.7447  2 O 1.97-2.04
Li: 0.3413 0.4126 0.4196  3 O 1.91-2.12
Li: 0.4126 0.3413 0.9196  3 O 1.91-2.12
Li: 0.4800 0.6593 0.6104  2 O 1.96-2.02
Li: 0.5466 0.1412 0.6824  3 O 1.93-2.01
Li: 0.6593 0.4800 0.1104  2 O 1.96-2.02
Li: 0.6953 0.1873 0.9570  6 O 2.35-2.41
Li: 0.7461 0.9102 0.7973  3 O 1.96-2.03
Li: 0.8477 0.2249 0.2447  2 O 1.97-2.04
Li: 0.9102 0.7461 0.2973  3 O 1.96-2.03
Li: 0.9753 0.0247 0.0000  3 O 1.95-2.18
Fe: 0.1610 0.2231 0.7112  6 O 1.95-2.10
Fe: 0.2231 0.1610 0.2112  6 O 1.95-2.10
Fe: 0.4430 0.7227 0.9883  6 O 1.97-2.10
Fe: 0.4489 0.9425 0.2149  6 O 1.97-2.05
Fe: 0.6626 0.9444 0.4289  6 O 2.08-2.19
Fe: 0.7227 0.4430 0.4883  6 O 1.97-2.10
Fe: 0.9425 0.4489 0.7149  6 O 1.97-2.05
Fe: 0.9444 0.6626 0.9289  6 O 2.08-2.19
P: 0.0202 0.3324 0.0116  4 O 1.54-1.59
P: 0.0457 0.3654 0.4114  4 O 1.54-1.58
P: 0.1470 0.8413 0.1277  4 O 1.54-1.59
P: 0.2462 0.5454 0.7843  4 O 1.53-1.56
P: 0.3324 0.0202 0.5116  4 O 1.54-1.59
P: 0.3654 0.0457 0.9114  4 O 1.54-1.58
P: 0.5184 0.6406 0.3106  4 O 1.53-1.57
P: 0.5454 0.2462 0.2843  4 O 1.53-1.56
P: 0.6406 0.5184 0.8106  4 O 1.53-1.57
P: 0.7418 0.8607 0.1014  4 O 1.54-1.60
P: 0.8413 0.1470 0.6277  4 O 1.54-1.59
P: 0.8607 0.7418 0.6014  4 O 1.54-1.60
O: 0.0255 0.3150 0.8494  1 P 1.59
O: 0.0694 0.3604 0.5723  1 P 1.58
O: 0.0854 0.8147 0.9826  1 P 1.54
O: 0.0868 0.2236 0.3460  1 P 1.56
O: 0.0877 0.5683 0.7877  1 P 1.56
O: 0.0978 0.7428 0.2345  1 P 1.54
O: 0.1089 0.9944 0.1635  1 P 1.57
O: 0.1386 0.4773 0.3655  1 P 1.54
O: 0.1646 0.2910 0.0718  1 P 1.56
O: 0.2236 0.0868 0.8460  1 P 1.56
O: 0.2342 0.9117 0.5552  1 P 1.54
O: 0.2825 0.3897 0.7629  1 P 1.56
O: 0.2910 0.1646 0.5718  1 P 1.56
O: 0.2946 0.6384 0.6732  1 P 1.53
O: 0.3078 0.8164 0.1280  1 P 1.59
O: 0.3086 0.5862 0.9286  1 P 1.56
O: 0.3150 0.0255 0.3494  1 P 1.59
O: 0.3604 0.0694 0.0723  1 P 1.58
O: 0.3871 0.8914 0.8725  1 P 1.56
O: 0.3897 0.2825 0.2629  1 P 1.56
O: 0.4072 0.5928 0.4032  1 P 1.53
O: 0.4773 0.1386 0.8655  1 P 1.54
O: 0.4842 0.9948 0.5524  1 P 1.54
O: 0.4966 0.6045 0.1543  1 P 1.56
O: 0.5226 0.7988 0.3362  1 P 1.57
O: 0.5683 0.0877 0.2877  1 P 1.56
O: 0.5756 0.6612 0.8501  1 P 1.56
O: 0.5794 0.8599 0.0796  1 P 1.60
O: 0.5862 0.3086 0.4286  1 P 1.56
O: 0.5928 0.4072 0.9032  1 P 1.53
O: 0.6045 0.4966 0.6543  1 P 1.56
O: 0.6384 0.2946 0.1732  1 P 1.53
O: 0.6612 0.5756 0.3501  1 P 1.56
O: 0.7148 0.8011 0.5763  1 P 1.54
O: 0.7428 0.0978 0.7345  1 P 1.54
O: 0.7804 0.9019 0.2519  1 P 1.55
O: 0.7874 0.9637 0.9969  1 P 1.54
O: 0.7988 0.5226 0.8362  1 P 1.57
O: 0.8011 0.7148 0.0763  1 P 1.54

Courtesy of Allison Cooper

There have been moments though, whenever things have gotten a little too heated and it’s caused our little one to stir. Of course, when that happens we stop whatever it is we’re doing and tend to her little whimper and make sure we get her back sleep, because she always comes first. But once she nods back off into dreamland, we get right back to it because honestly, if I’m shaving my legs, you bet I’m getting to the grand finale.

And, if we didn’t have sex while the baby was in her crib then it would be really difficult for us to have any alone time at all. Date nights? Those are far and few in between, and Netflix and chill is pretty much our saving grace. Let’s face it: This parenting thing is tough and it’s not always possible to sneak away to a sexy hotel room, especially when you don’t have grandma and grandpa nearby to take the kids overnight.

Next to the entry, the page also holds records of crystals =
Entry 1:
Material: Fe13Si2Sb2O28
Method: DFT, PBE+U
State: relaxed

Unit cell a=5.6458 b=8.9676 c=11.5820 alpha=84.45 beta=81.12 gamma=78.54
Positions (direct):
Fe 0.9312 0.6584 0.6965
Fe 0.6648 0.3383 0.1310
Fe 0.3311 0.3796 0.7240
Fe 0.0696 0.3400 0.3038
Fe 0.3360 0.6601 0.8693
Fe 0.2454 0.0649 0.4502
Fe 0.2266 0.6526 0.1656
Fe 0.0006 0.9992 0.0002
Fe 0.4429 0.9869 0.1476
Fe 0.7741 0.3460 0.8348
Fe 0.6698 0.6188 0.2764
Fe 0.5582 0.0115 0.8527
Fe 0.7556 0.9335 0.5501
Si 0.2252 0.3102 0.0092
Si 0.7757 0.6882 0.9912
Sb 0.8877 0.9787 0.2823
Sb 0.1133 0.0197 0.7180
O 0.7278 0.3884 0.2751
O 0.2071 0.2896 0.4335
O 0.9293 0.3525 0.0012
O 0.3006 0.1234 0.0073
O 0.7938 0.7088 0.5667
O 0.2730 0.6099 0.7252
O 0.9443 0.0999 0.5807
O 0.0567 0.8985 0.4195
O 0.7004 0.8750 0.9931
O 0.1390 0.8818 0.1521
O 0.3065 0.3668 0.1290
O 0.0020 0.5597 0.2884
O 0.3865 0.9493 0.5944
O 0.7367 0.1136 0.1485
O 0.6136 0.6033 0.1010
O 0.0716 0.6459 0.9991
O 0.2643 0.8848 0.8518
O 0.8620 0.1166 0.8482
O 0.6145 0.0490 0.4059
O 0.1331 0.1245 0.2746
O 0.8678 0.8739 0.7257
O 0.3873 0.3950 0.8994
O 0.3271 0.1647 0.7504
O 0.6410 0.3586 0.6783
O 0.6944 0.6316 0.8714
O 0.6739 0.8337 0.2499
O 0.9989 0.4386 0.7120
O 0.3600 0.6398 0.3220

Values from the calculation:
total DFT energy (no corrections): -294.32 eV/cell
V: 12.6 Å³/atom
energy above the lowest structure with this stoichiometry: 0.0 meV/atom
space-group type: No. 2
spin magnetization: 60.0 μB/f.u.

---

Entry 2:
Material: Fe13Si2Sb2O28
Method: DFT, PBE+U
State: relaxed

Unit cell a=5.6237 b=8.8119 c=11.4920 alpha=87.20 beta=75.96 gamma=78.52
Positions (direct):
Fe 0.9654 0.6357 0.6794
Fe 0.6479 0.3550 0.1465
Fe 0.3608 0.3614 0.6824
Fe 0.0346 0.3643 0.3206
Fe 0.3521 0.6450 0.8535
Fe 0.2841 0.9952 0.4369
Fe 0.2061 0.6437 0.1528
Fe 0.0000 0.0000 0.0000
Fe 0.4220 0.0011 0.1496
Fe 0.7939 0.3563 0.8472
Fe 0.6392 0.6386 0.3176
Fe 0.5780 0.9989 0.8504
Fe 0.7159 0.0048 0.5631
Si 0.2332 0.3137 0.0013
Si 0.7668 0.6863 0.9987
Sb 0.8549 0.0013 0.2890
Sb 0.1451 0.9987 0.7110
O 0.7017 0.4067 0.2909
O 0.2136 0.3508 0.4180
O 0.9303 0.3564 0.0078
O 0.3036 0.1231 0.9993
O 0.7864 0.6492 0.5820
O 0.2983 0.5933 0.7091
O 0.0083 0.0997 0.5773
O 0.9917 0.9003 0.4227
O 0.6964 0.8769 0.0007
O 0.1147 0.8863 0.1547
O 0.3072 0.3782 0.1197
O 0.9879 0.5859 0.2982
O 0.4201 0.8962 0.5777
O 0.7213 0.1248 0.1561
O 0.5957 0.6146 0.1201
O 0.0697 0.6436 0.9922
O 0.2787 0.8752 0.8439
O 0.8853 0.1137 0.8453
O 0.5799 0.1038 0.4223
O 0.1188 0.1352 0.2887
O 0.8812 0.8648 0.7113
O 0.4043 0.3854 0.8799
O 0.4120 0.1302 0.7130
O 0.6288 0.3469 0.5794
O 0.6928 0.6218 0.8803
O 0.5880 0.8698 0.2870
O 0.0121 0.4141 0.7018
O 0.3712 0.6531 0.4206

Values from the calculation:
total DFT energy (no corrections): -270.93 eV/cell
V: 12.0 Å³/atom
energy above the lowest structure with this stoichiometry: 519.9 meV/atom
space-group type: No. 2

We need to have these intimate moments and there is absolutely nothing wrong with getting down and dirty while the baby sleeps because intimacy is a priority in our marriage. In fact, I feel that if we didn’t make our intimacy a priority it would send a completely wrong message. Instead of feeling everyday like I deserve to have pleasure in my life, it would say that I don’t and that I need to be on mom duty at all times. I’m a person, too, after all — I deserve the big O just as much as the next woman.

Courtesy of Allison Cooper

(These records of crystals were left in the page by mistake)
=====
No. 1
## LiMnSiO4 (PBE+U)

Data for LiMnSiO4 after structural relaxation.

```
LiMnSiO4
1.0
-5.517 -0.366 -0.550
0.963 -5.217 -6.194
-0.252 -14.605 12.263
Mn Li Si O
12 12 12 48
direct
0.010 0.251 0.333
0.485 0.748 0.501
0.022 0.252 0.667
0.010 0.249 0.833
0.022 0.248 0.167
0.522 0.752 0.833
0.985 0.252 0.499
0.510 0.749 0.667
0.485 0.752 0.001
0.510 0.751 0.167
0.985 0.248 0.999
0.522 0.748 0.333
0.537 0.063 0.417
0.483 0.427 0.584
0.983 0.927 0.916
0.498 0.430 0.250
0.537 0.437 0.917
0.483 0.073 0.084
0.983 0.573 0.416
0.498 0.070 0.750
0.037 0.937 0.583
0.037 0.563 0.083
0.998 0.570 0.750
0.998 0.930 0.250
0.022 0.596 0.250
0.011 0.905 0.417
0.522 0.404 0.750
0.511 0.405 0.083
0.485 0.097 0.917
0.522 0.096 0.250
0.511 0.095 0.583
0.485 0.403 0.417
0.011 0.595 0.917
0.022 0.904 0.750
0.985 0.597 0.583
0.985 0.903 0.083
0.509 0.984 0.180
0.497 0.981 0.513
0.981 0.484 0.512
0.507 0.983 0.847
0.520 0.518 0.154
0.796 0.726 0.249
0.774 0.214 0.250
0.711 0.227 0.917
0.249 0.780 0.420
0.232 0.212 0.917
0.773 0.780 0.413
0.481 0.516 0.488
0.997 0.019 0.487
0.007 0.017 0.153
0.274 0.786 0.750
0.796 0.774 0.749
0.507 0.517 0.347
0.023 0.481 0.180
0.009 0.016 0.820
0.509 0.516 0.680
0.296 0.226 0.251
0.523 0.519 0.820
0.007 0.483 0.653
0.273 0.220 0.587
0.023 0.019 0.680
0.020 0.018 0.346
0.009 0.484 0.320
0.732 0.712 0.583
0.732 0.788 0.083
0.523 0.981 0.320
0.249 0.720 0.920
0.020 0.482 0.846
0.481 0.984 0.988
0.520 0.982 0.654
0.211 0.773 0.083
0.997 0.481 0.987
0.749 0.220 0.580
0.273 0.280 0.087
0.711 0.273 0.417
0.232 0.288 0.417
0.274 0.714 0.250
0.296 0.274 0.751
0.211 0.727 0.583
0.497 0.519 0.013
0.773 0.720 0.913
0.774 0.286 0.750
0.749 0.280 0.080
0.981 0.016 0.012
```

space-group type	Pna2_1
volume	10.29	Å³ per atom
energy of formation	-2611	meV/atom
ΔE to the lowest computed polymorph	27.8	meV/atom
total energy	-601.8	eV per cell
magnetic moment	4.00	μB per formula unit

No. 2
## CoH40C10Br2N20O10 (PBE+U)

Data for CoH40C10Br2N20O10 after structural relaxation.

```
CoH40C10Br2N20O10
1.0
0.000 -7.271 0.000
-9.799 0.000 1.064
0.122 0.000 -23.911
H N O C Co Br
80 40 20 20 2 4
direct
0.364 0.438 0.073
0.682 0.495 0.682
0.692 0.267 0.853
0.818 0.495 0.182
0.106 0.869 0.761
0.394 0.869 0.261
0.837 0.714 0.251
0.318 0.505 0.318
0.931 0.636 0.059
0.431 0.364 0.441
0.864 0.562 0.427
0.192 0.733 0.647
0.915 0.907 0.627
0.101 0.153 0.106
0.308 0.733 0.147
0.718 0.867 0.066
0.014 0.287 0.241
0.452 0.131 0.256
0.899 0.847 0.894
0.418 0.498 0.827
0.516 0.432 0.382
0.399 0.153 0.606
0.174 0.736 0.368
0.163 0.286 0.749
0.486 0.287 0.741
0.241 0.773 0.502
0.436 0.861 0.834
0.606 0.131 0.739
0.344 0.391 0.000
0.936 0.139 0.666
0.337 0.286 0.249
0.918 0.502 0.673
0.297 0.308 0.634
0.844 0.609 0.500
0.126 0.685 0.551
0.514 0.713 0.259
0.569 0.636 0.559
0.636 0.562 0.927
0.282 0.133 0.934
0.984 0.432 0.882
0.484 0.568 0.618
0.564 0.139 0.166
0.259 0.773 0.002
0.826 0.264 0.632
0.952 0.869 0.244
0.326 0.736 0.868
0.415 0.093 0.873
0.016 0.568 0.118
=====

And to set the record straight: We aren’t having sex in front of our children. I would completely understand why child services would intervene if a couple was having sex in front a child or toddler or even a newborn who was aware of their surroundings, but that’s not the case. Having sex with the baby asleep in her crib is a completely different thing, so don’t get it twisted. She’s not bed sharing with us and is in her own crib at all times. We’ll be moving into a bigger place before she turns 1 year old, so having sex with a toddler in our room won’t even be a question we need to entertain. But for now, things are just fine in our bedroom and our sex life thanks us for it.